• What to do:
Your job: copy the data further down unchanged.

• Material:
## a
Formula: C6H11N
Source: the Open Molecules 2025 dataset
Level of theory: the ωB97M-V functional and the def2-TZVPD basis

Structure (ORCA input):
```
! wB97M-V def2-TZVPD RIJCOSX def2/J DEFGRID3
* xyz 0 1
C 1.64764 0.15684 -1.24246
C 2.41032 0.61369 -2.31671
C -0.19181 0.44461 0.23991
C -0.87196 1.56952 1.00228
C -1.33128 -1.57132 1.37630
C -0.86763 -0.93543 0.07678
N 0.85197 0.86528 -0.40906
H 1.77691 -0.94451 -1.03884
H 2.45574 1.70469 -2.69123
H 3.14106 -0.03409 -2.70800
H -1.83977 1.20766 1.29725
H -0.81540 2.43577 0.41831
H -0.25684 1.84723 2.01383
H -0.54755 -1.44836 2.15400
H -1.49347 -2.60938 1.06569
H -2.29223 -1.07714 1.66611
H -1.65171 -0.68002 -0.63190
H -0.12399 -1.54504 -0.27227
*
```

Values from the calculation:
Highest occupied orbital energy in eV: -8.377
SMILES: C=C/N=C(/C)CC
Gap between HOMO and LUMO in eV: 9.092
Molar mass in g mol⁻¹: 97.2


## b
Formula: C6H11N
Source: the Open Molecules 2025 dataset
Level of theory: the ωB97M-V functional and the def2-TZVPD basis

Structure (ORCA input):
```
! wB97M-V def2-TZVPD RIJCOSX def2/J DEFGRID3
* xyz 0 1
C 2.76978 -0.60762 0.24968
C 1.69603 0.50159 0.21031
N -0.97286 1.37194 -0.73932
C -0.82705 0.26017 0.06217
C 0.35638 -0.10047 0.56134
C -3.14344 -0.53809 -0.38035
C -1.99756 -0.60750 0.27961
H 3.63606 -0.32713 -0.34595
H 2.34499 -1.51971 -0.16910
H 2.99223 -0.85154 1.29118
H 1.99921 1.32878 0.85361
H 1.69563 0.84381 -0.81748
H -0.14419 1.84786 -1.03786
H -1.88128 1.72202 -0.96722
H 0.44097 -0.91520 1.27515
H -3.91988 -1.26312 -0.20934
H -3.29077 0.20733 -1.14675
H -1.75427 -1.35311 1.03031
*
```

Values from the calculation:
Highest occupied orbital energy in eV: -7.716
SMILES: C=C/C(N)=C/CC
Gap between HOMO and LUMO in eV: 8.819
Molar mass in g mol⁻¹: 97.2


Stability, highest: b


## a
Formula: C3H14NO3
Source: the Open Molecules 2025 dataset
Level of theory: the ωB97M-V functional and the def2-TZVPD basis

Structure (ORCA input):
```
! wB97M-V def2-TZVPD RIJCOSX def2/J DEFGRID3
* xyz 1 1
C -1.42358 -0.08212 1.09264
C -0.87753 0.30228 -0.24408
C -1.49854 0.86735 -1.26519
N 0.43600 -0.28685 -0.62663
H -2.45864 -0.40810 1.13509
H -0.79648 -0.84755 1.54634
H -1.38272 0.79046 1.75284
H -1.18082 0.95811 -2.29423
H -2.39689 1.45129 -1.08649
H 1.14041 0.25047 -0.08073
H 0.75744 -0.14004 -1.57528
H 0.53721 -1.27557 -0.36240
H -2.05907 -2.25008 -0.52819
H -1.45719 -3.58373 -0.21232
O -1.21497 -2.69429 -0.55798
H 2.92010 -1.07698 1.24776
H 3.58407 -0.01523 1.88134
O 2.68575 -0.17987 1.55914
H 0.45293 2.95242 0.22015
H 1.42491 2.85631 -1.01668
O 1.11531 2.40189 -0.22248
*
```

Values from the calculation:
Highest occupied orbital energy in eV: -14.060
Gap between HOMO and LUMO in eV: 11.086
Molar mass in g mol⁻¹: 112.1


## b
Formula: C3H14NO3
Source: the Open Molecules 2025 dataset
Level of theory: the ωB97M-V functional and the def2-TZVPD basis

Structure (ORCA input):
```
! wB97M-V def2-TZVPD RIJCOSX def2/J DEFGRID3
* xyz 1 1
C -1.13490 1.23330 0.28220
C 0.29764 1.00828 0.03051
C 1.29343 1.80074 -0.30935
N 0.73589 -0.40884 0.34047
H -1.53167 0.95685 1.25915
H -1.44343 2.28255 0.35902
H -1.70275 0.83513 -0.55997
H 2.30940 1.48000 -0.50022
H 1.16410 2.87513 -0.34728
H 1.30192 -0.77697 -0.41953
H -0.05625 -1.04522 0.44781
H 1.16443 -0.47311 1.24572
H 1.83148 0.34030 -5.17505
H 1.52810 -1.07944 -4.84391
O 1.61673 -0.21889 -4.41877
H 1.20110 -2.65199 2.89849
H 1.13270 -3.33588 1.51121
O 1.45766 -2.55821 1.97650
H -4.38866 0.25501 2.04397
H -3.19924 -0.43580 2.49679
O -3.57766 -0.08293 1.68223
*
```

Values from the calculation:
Highest occupied orbital energy in eV: -14.190
Gap between HOMO and LUMO in eV: 10.989
Molar mass in g mol⁻¹: 112.1


## c
Formula: C3H14NO3
Source: the Open Molecules 2025 dataset
Level of theory: the ωB97M-V functional and the def2-TZVPD basis

Structure (ORCA input):
```
! wB97M-V def2-TZVPD RIJCOSX def2/J DEFGRID3
* xyz 1 1
C 1.15334 -0.87655 -0.89533
O 1.72019 -0.24770 0.20499
C -0.31450 -1.11477 -0.34994
C -1.14956 -2.36497 -0.70613

• Here it is:
## a
Formula: C6H11N
Source: the Open Molecules 2025 dataset
Level of theory: the ωB97M-V functional and the def2-TZVPD basis

Structure (ORCA input):
```
! wB97M-V def2-TZVPD RIJCOSX def2/J DEFGRID3
* xyz 0 1
C 1.64764 0.15684 -1.24246
C 2.41032 0.61369 -2.31671
C -0.19181 0.44461 0.23991
C -0.87196 1.56952 1.00228
C -1.33128 -1.57132 1.37630
C -0.86763 -0.93543 0.07678
N 0.85197 0.86528 -0.40906
H 1.77691 -0.94451 -1.03884
H 2.45574 1.70469 -2.69123
H 3.14106 -0.03409 -2.70800
H -1.83977 1.20766 1.29725
H -0.81540 2.43577 0.41831
H -0.25684 1.84723 2.01383
H -0.54755 -1.44836 2.15400
H -1.49347 -2.60938 1.06569
H -2.29223 -1.07714 1.66611
H -1.65171 -0.68002 -0.63190
H -0.12399 -1.54504 -0.27227
*
```

Values from the calculation:
Highest occupied orbital energy in eV: -8.377
SMILES: C=C/N=C(/C)CC
Gap between HOMO and LUMO in eV: 9.092
Molar mass in g mol⁻¹: 97.2


## b
Formula: C6H11N
Source: the Open Molecules 2025 dataset
Level of theory: the ωB97M-V functional and the def2-TZVPD basis

Structure (ORCA input):
```
! wB97M-V def2-TZVPD RIJCOSX def2/J DEFGRID3
* xyz 0 1
C 2.76978 -0.60762 0.24968
C 1.69603 0.50159 0.21031
N -0.97286 1.37194 -0.73932
C -0.82705 0.26017 0.06217
C 0.35638 -0.10047 0.56134
C -3.14344 -0.53809 -0.38035
C -1.99756 -0.60750 0.27961
H 3.63606 -0.32713 -0.34595
H 2.34499 -1.51971 -0.16910
H 2.99223 -0.85154 1.29118
H 1.99921 1.32878 0.85361
H 1.69563 0.84381 -0.81748
H -0.14419 1.84786 -1.03786
H -1.88128 1.72202 -0.96722
H 0.44097 -0.91520 1.27515
H -3.91988 -1.26312 -0.20934
H -3.29077 0.20733 -1.14675
H -1.75427 -1.35311 1.03031
*
```

Values from the calculation:
Highest occupied orbital energy in eV: -7.716
SMILES: C=C/C(N)=C/CC
Gap between HOMO and LUMO in eV: 8.819
Molar mass in g mol⁻¹: 97.2


Stability, highest: b


## a
Formula: C3H14NO3
Source: the Open Molecules 2025 dataset
Level of theory: the ωB97M-V functional and the def2-TZVPD basis

Structure (ORCA input):
```
! wB97M-V def2-TZVPD RIJCOSX def2/J DEFGRID3
* xyz 1 1
C -1.42358 -0.08212 1.09264
C -0.87753 0.30228 -0.24408
C -1.49854 0.86735 -1.26519
N 0.43600 -0.28685 -0.62663
H -2.45864 -0.40810 1.13509
H -0.79648 -0.84755 1.54634
H -1.38272 0.79046 1.75284
H -1.18082 0.95811 -2.29423
H -2.39689 1.45129 -1.08649
H 1.14041 0.25047 -0.08073
H 0.75744 -0.14004 -1.57528
H 0.53721 -1.27557 -0.36240
H -2.05907 -2.25008 -0.52819
H -1.45719 -3.58373 -0.21232
O -1.21497 -2.69429 -0.55798
H 2.92010 -1.07698 1.24776
H 3.58407 -0.01523 1.88134
O 2.68575 -0.17987 1.55914
H 0.45293 2.95242 0.22015
H 1.42491 2.85631 -1.01668
O 1.11531 2.40189 -0.22248
*
```

Values from the calculation:
Highest occupied orbital energy in eV: -14.060
Gap between HOMO and LUMO in eV: 11.086
Molar mass in g mol⁻¹: 112.1


## b
Formula: C3H14NO3
Source: the Open Molecules 2025 dataset
Level of theory: the ωB97M-V functional and the def2-TZVPD basis

Structure (ORCA input):
```
! wB97M-V def2-TZVPD RIJCOSX def2/J DEFGRID3
* xyz 1 1
C -1.13490 1.23330 0.28220
C 0.29764 1.00828 0.03051
C 1.29343 1.80074 -0.30935
N 0.73589 -0.40884 0.34047
H -1.53167 0.95685 1.25915
H -1.44343 2.28255 0.35902
H -1.70275 0.83513 -0.55997
H 2.30940 1.48000 -0.50022
H 1.16410 2.87513 -0.34728
H 1.30192 -0.77697 -0.41953
H -0.05625 -1.04522 0.44781
H 1.16443 -0.47311 1.24572
H 1.83148 0.34030 -5.17505
H 1.52810 -1.07944 -4.84391
O 1.61673 -0.21889 -4.41877
H 1.20110 -2.65199 2.89849
H 1.13270 -3.33588 1.51121
O 1.45766 -2.55821 1.97650
H -4.38866 0.25501 2.04397
H -3.19924 -0.43580 2.49679
O -3.57766 -0.08293 1.68223
*
```

Values from the calculation:
Highest occupied orbital energy in eV: -14.190
Gap between HOMO and LUMO in eV: 10.989
Molar mass in g mol⁻¹: 112.1


## c
Formula: C3H14NO3
Source: the Open Molecules 2025 dataset
Level of theory: the ωB97M-V functional and the def2-TZVPD basis

Structure (ORCA input):
```
! wB97M-V def2-TZVPD RIJCOSX def2/J DEFGRID3
* xyz 1 1
C 1.15334 -0.87655 -0.89533
O 1.72019 -0.24770 0.20499
C -0.31450 -1.11477 -0.34994
C -1.14956 -2.36497 -0.70613